Know the signs of pet heatstroke

Heatstroke is a real concern for Arizona pets. Failing to recognize the signs can be extremely dangerous – even deadly – to your beloved pet. Dogs are the most at risk, because they spend more time outdoors and traveling with us in vehicles than other pets. It is crucial to know the signs of heatstroke and keep an eye out for them when you’re outdoors or traveling with your pet. Excessive heat that raises your dog’s body temperature over 103 degrees Fahrenheit can cause severe, potentially fatal damage to your dog’s brain, heart and liver. The following are five signs you must never ignore.

### Quantum chemistry results, as found in the file
Here is C23H25AuFN2OS as an isolated structure at a distorted geometry from the Open Molecules 2025 dataset. Energies are from ωB97M-V/def2-TZVPD.

Computed properties:
net charge = 0
multiplicity = 2
maximum force = 3.3 eV Å⁻¹
orbital gap (alpha / beta) = 7.58 / 5.05 eV

CARTESIAN COORDINATES (ANGSTROEM)
Au (0.2817, 0.3236, -0.0804)
C (1.8683, -2.0257, -2.8506)
C (3.3044, -2.1667, -2.3479)
C (3.7153, -3.6454, -2.4093)
C (3.6600, -1.6098, -0.9806)
C (5.0193, -1.3987, -0.7670)
C (5.5088, -0.9265, 0.4327)
C (4.6264, -0.6241, 1.4535)
C (3.2645, -0.7978, 1.2861)
C (2.3291, -0.4434, 2.4180)
C (2.7057, -1.1484, 3.7212)
C (2.3295, 1.0758, 2.6233)
C (2.7755, -1.2947, 0.0623)
N (1.3921, -1.4180, -0.1225)
C (0.8048, -2.6148, -0.0122)
C (1.4836, -3.7641, 0.4614)
C (0.8363, -4.9696, 0.5983)
C (-0.5085, -5.0933, 0.2692)
C (-1.2040, -3.9927, -0.2157)
C (-0.5577, -2.7907, -0.3559)
F (-1.2401, -1.7491, -0.8762)
H (1.8648, -2.1057, -3.9363)
H (1.4299, -1.0683, -2.5806)
H (1.2325, -2.8188, -2.4657)
H (3.9422, -1.6188, -3.0538)
H (3.0755, -4.2475, -1.7678)
H (4.7463, -3.7774, -2.0916)
H (3.6192, -4.0096, -3.4288)
H (5.7105, -1.6089, -1.5719)
H (6.5723, -0.7944, 0.5730)
H (5.0083, -0.2495, 2.3921)
H (1.3164, -0.7597, 2.1525)
H (3.7007, -0.8591, 4.0496)
H (2.6756, -2.2285, 3.5975)
H (1.9959, -0.8760, 4.4992)
H (3.2989, 1.4097, 2.9853)
H (1.5663, 1.3608, 3.3458)
H (2.1200, 1.5895, 1.6853)
H (2.5231, -3.6671, 0.7346)
H (1.3755, -5.8283, 0.9703)
H (-1.0169, -6.0352, 0.3894)
H (-2.2451, -4.0651, -0.4893)
O (-1.0591, 0.0400, 1.7303)
N (-1.1326, 1.2283, 2.3353)
C (-1.5549, 1.2463, 3.6604)
C (-2.1943, 2.3186, 4.1873)
C (-2.4432, 3.4787, 3.4102)
C (-2.0037, 3.4777, 2.0874)
C (-1.3466, 2.3979, 1.5517)
S (-0.6434, 2.4662, -0.0233)
H (-1.3654, 0.3308, 4.1971)
H (-2.5089, 2.2868, 5.2208)
H (-2.9285, 4.3389, 3.8355)
H (-2.1302, 4.3451, 1.4599)

Atomic forces in eV per Å
Au 0.7 0.4 -0.5
C 0.1 0.2 -0.1
C -0.1 -0.2 -0.1
C 0.1 0.3 -0.1
C -0.1 0.2 0.0
C 0.0 0.0 0.1
C 0.0 0.0 0.0
C 0.1 -0.1 -0.1
C -0.3 -0.2 0.0
C 0.0 0.1 0.2
C -0.2 0.0 -0.2
C -0.2 -0.2 -0.1
C 1.2 0.1 0.2
N -0.9 0.8 -0.5
C -0.2 -0.7 0.3
C -0.1 0.0 0.0
C 0.1 -0.1 0.0
C 0.0 0.2 0.0
C 0.0 0.0 0.0
C -0.2 0.3 -0.2
F 0.1 -0.7 0.2
H 0.0 0.0 -0.1
H 0.0 0.0 -0.1
H -0.1 0.0 0.0
H 0.0 -0.1 0.1
H -0.1 -0.1 0.1
H 0.1 -0.1 0.0
H 0.0 -0.1 -0.1
H 0.0 -0.1 -0.1
H 0.1 0.0 0.0
H 0.0 0.0 0.1
H 0.1 0.1 0.1
H 0.1 0.0 0.1
H 0.1 -0.1 0.0
H 0.0 0.0 0.1
H 0.1 0.1 0.1
H 0.0 0.1 0.1
H 0.0 0.1 0.0
H 0.1 0.0 0.0
H 0.1 0.0 0.0
H -0.1 -0.1 0.0
H -0.1 0.0 0.0
O 0.7 0.5 1.1
N -3.0 1.3 0.3
C 0.7 -0.4 -1.7
C -0.3 1.4 0.2
C 0.7 -1.2 -0.6
C -0.5 0.8 1.7
C 1.7 -2.3 0.0
S -0.2 -0.2 -0.2
H -0.1 -0.1 -0.1
H 0.0 -0.1 0.0
H -0.2 0.1 0.1
H -0.1 0.0 -0.1



Here is C23H25ClN2O8SiV as an isolated structure from the Open Molecules 2025 dataset. Energies are from ωB97M-V/def2-TZVPD.

Computed properties:
net charge = 0
multiplicity = 2
maximum force = 0.9 eV Å⁻¹
orbital gap (alpha / beta) = 8.32 / 8.78 eV

CARTESIAN COORDINATES (ANGSTROEM)
V (0.6384, 0.5339, 0.2836)

Rapid Panting – Dogs pant to regulate their body temperature and stay cool. Some amount of panting is normal and healthy. However, the minute you feel his panting is excessive (more than usual), get your dog out of the heat to a cool or shady area with access to plenty of fresh water.

Color Changes in the Tongue and/or Gums – Check the color of his tongue and gums. As body temperature rises, the tongue and gums can become darker red in color. Conversely, paler-colored gums can also be a sign of heatstroke, as it can indicate oxygen deficiency. If you notice this, head indoors or for the shade and allow your dog access to plenty of cool water. If you think oxygen depletion is occurring, call your vet or get to an emergency hospital immediately.

Depression/Lethargy – If your dog is lethargic, not getting up or off balance, these can all be very serious signs of heatstroke that should never be ignored. This behavior can be the result of internal organ damage brought on by excessive heat.

Vomiting/Diarrhea – These symptoms can be a result of dehydration and/or internal distress brought on by heat. If this occurs, offer him fresh water and call your vet immediately.

Unresponsiveness/Coma – Coma is a depressed level of consciousness. He may initially act confused and not obey commands. Stupor can progress to a total loss of consciousness. If your dog is not responding and cannot be awakened, call your vet and get him to an emergency hospital immediately.

Never, never put ice water or cold water on the dog; it will throw him into shock.

Remember, dogs can’t tell us they’re in distress. While we often think of them as just another family member, we must remember that our dogs can’t tell us they’re too hot or don’t feel well. By the time they’re showing outward signs of distress, the situation can already be extremely serious.

Please take every precaution to keep your dog safe from overheating. By being proactive and sensible, you can keep your dog safe during Arizona summers!

Come see Rovers in the dance room on July 15 where we will be introducing you to the boarding program at the Ranch.